File >
/*
Entry 1:
## AgHgNF (PBE-GGA)

Data for a relaxed AgHgNF crystal.

Structure (POSCAR):
```
AgHgNF
1.0
4.5440 0.0000 0.0000
0.0000 1.9917 3.4383
0.0000 -1.9917 3.4383
Ag Hg N F
1 1 1 1
Direct
0.0000 0.0000 0.0000
0.5000 0.3340 0.3340
0.5000 0.0000 0.0000
0.0000 0.6653 0.6653
```

For the relative energy among the computed polymorphs, the calculation gives 54 meV/atom. As for the space-group type: Amm2 (38). Its density of states at the Fermi level is 2.49 states/eV/f.u. The calculated volume comes out at 15.559 Å³/atom. The uncorrected formation energy is 0.219 eV per atom.

---

Entry 2:
## AgHgNF (PBE-GGA)

Data for a relaxed AgHgNF crystal.

Structure (POSCAR):
```
AgHgNF
1.0
3.3506 0.0000 0.0000
-0.0145 4.0252 0.0000
-1.6659 -1.9304 5.7231
Ag Hg N F
1 1 1 1
Direct
0.0000 0.0000 0.0000
0.3205 0.3250 0.6405
0.3825 0.8842 0.7647
0.6338 0.1357 0.2678
```

For the relative energy among the computed polymorphs, the calculation gives 0 meV/atom. As for the space-group type: P1 (1). Its density of states at the Fermi level is 1.74 states/eV/f.u. The calculated volume comes out at 19.296 Å³/atom. The uncorrected formation energy is 0.165 eV per atom.

---

Entry 3:
## AgHgNF2 (PBE-GGA)

Data for a relaxed AgHgNF2 crystal.

Structure (POSCAR):
```
AgHgNF2
1.0
4.4415 0.0000 0.0000
0.0000 4.4415 0.0000
0.0000 0.0000 4.1281
Ag Hg N F
1 1 1 2
Direct
0.0000 0.0000 0.0000
0.5000 0.5000 0.5000
0.0000 0.0000 0.5000
0.0000 0.5000 0.0000
0.5000 0.0000 0.0000
```

For the relative energy among the computed polymorphs, the calculation gives 0 meV/atom. As for the space-group type: P4/mmm (123). Its density of states at the Fermi level is 2.01 states/eV/f.u. The calculated volume comes out at 16.287 Å³/atom. The uncorrected formation energy is 0.143 eV per atom.

---

Entry 4:
## AgHgNF (PBE-GGA)

Data for a relaxed AgHgNF crystal.

Structure (POSCAR):
```
AgHgNF
1.0
3.2094 0.0000 0.0000
0.0000 3.2094 0.0000
0.0000 0.0000 6.2276
Ag Hg N F
1 1 1 1
Direct
0.0000 0.0000 0.0000
0.5000 0.5000 0.5768
0.0000 0.0000 0.6468
0.5000 0.5000 0.1768
```

For the relative energy among the computed polymorphs, the calculation gives 92 meV/atom. As for the space-group type: P4mm (99). Its density of states at the Fermi level is 1.36 states/eV/f.u. The calculated volume comes out at 16.036 Å³/atom. The uncorrected formation energy is 0.257 eV per atom.

---

Entry 5:
## Na2Ag3HgF6 (PBE-GGA)

Data for a relaxed Na2Ag3HgF6 crystal.

Structure (POSCAR):
```
Na2Ag3HgF6
1.0
7.5214 -1.6824 0.0000
7.5214 1.6824 0.0000
-0.6211 0.0000 7.0534
Na Ag Hg F
2 3 1 6
Direct
0.1791 0.1791 0.3518
0.8209 0.8209 0.6482
0.1488 0.1488 0.8629
0.5000 0.5000 0.5000
0.8512 0.8512 0.1371
0.5000 0.5000 0.0000
0.0258 0.0258 0.2768
0.3126 0.3126 0.8751
0.3318 0.3318 0.4077
0.6682 0.6682 0.5923
0.6874 0.6874 0.1249
0.9742 0.9742 0.7232
```

As for the space-group type: C2/m (12). Its density of states at the Fermi level is 1.62 states/eV/f.u. The calculated volume comes out at 14.876 Å³/atom. The uncorrected formation energy is -1.552 eV per atom.

---

Entry 6:
## Na2AgHgF6 (PBE-GGA)

Data for a relaxed Na2AgHgF6 crystal.

Structure (POSCAR):
```
Na2AgHgF6
1.0
5.8074 0.0000 0.0000
2.7387 5.1905 0.0000
0.0244 3.3037 5.2491
Na Ag Hg F
2 1 1 6
Direct
0.0000 0.0000 0.0000
0.4964 0.0007 0.5111
0.2976 0.4083 0.8967
0.7913 0.4248 0.3815
0.1013 0.2265 0.1685
0.2064 0.2340 0.6960
0.3861 0.5210 0.1579
0.5675 0.5190 0.6981
0.7172 0.8769 0.2157
0.8790 0.9658 0.6572
```

As for the space-group type: P1 (1). The calculated volume comes out at 15.822 Å³/atom. The uncorrected formation energy is -1.867 eV per atom.
*/

Assignment >
Say how many lines of the contents earlier on hold the word "relative", as a bare number.

Solution >
4